**Job:**
Duplicate only the last part of the material further down, starting with the line that has "30.09".
**Given:**
[1]
The following is a calculated X-ray diffraction stick pattern of DyFe10B2. It was derived from a PBE-relaxed structure, using Cu Kα (λ = 1.5418 Å).
Intensities are scaled so that the largest is 100.

Top 10 peaks for 2θ from 5° to 70°, in order of rising 2θ:
2θ (°)  d/Å  I/Imax
31.44  2.846  25.1
37.28  2.412  27.5
39.20  2.298  30.9
39.54  2.279  51.0
41.53  2.175  47.9
44.40  2.040  35.3
45.28  2.003  26.1
45.59  1.990  100.0
45.71  1.985  40.2
46.09  1.969  49.7

Crystal structure
Cell: 6.147 6.147 7.874 Å, 90.00 90.00 96.80°
Element x y z (fractional)
Dy 0.115 0.885 0.750
Dy 0.885 0.115 0.250
Fe 0.112 0.403 0.750
Fe 0.167 0.833 0.094
Fe 0.167 0.833 0.406
Fe 0.233 0.233 0.000
Fe 0.233 0.233 0.500
Fe 0.242 0.472 0.250
Fe 0.387 0.613 0.574
Fe 0.387 0.613 0.926
Fe 0.403 0.112 0.250
Fe 0.472 0.242 0.750
Fe 0.528 0.758 0.250
Fe 0.597 0.888 0.750
Fe 0.613 0.387 0.074
Fe 0.613 0.387 0.426
Fe 0.758 0.528 0.750
Fe 0.767 0.767 0.000
Fe 0.767 0.767 0.500
Fe 0.833 0.167 0.594
Fe 0.833 0.167 0.906
Fe 0.888 0.597 0.250
B 0.000 0.500 0.000
B 0.000 0.500 0.500
B 0.500 0.000 0.000
B 0.500 0.000 0.500

***

[2]
The following is a calculated X-ray diffraction stick pattern of DyFeB14. It was derived from a PBE-relaxed structure, using Cu Kα (λ = 1.5418 Å).
Intensities are scaled so that the largest is 100.

Top 10 peaks for 2θ from 5° to 70°, in order of rising 2θ:
2θ (°)  d/Å  I/Imax
16.76  5.289  100.0
18.61  4.767  34.3
25.15  3.541  66.5
27.77  3.213  81.1
33.64  2.664  93.3
36.88  2.437  54.5
40.01  2.253  35.6
41.62  2.170  81.7
54.72  1.677  24.9
57.36  1.606  23.4

Crystal structure
Cell: 7.318 7.318 7.318 Å, 132.99 87.44 111.27°
Element x y z (fractional)
Dy 0.382 0.132 0.250
Dy 0.618 0.868 0.750
Fe 0.000 0.000 0.500
Fe 0.000 0.500 0.000
B 0.005 0.870 0.136
B 0.033 0.205 0.332
B 0.033 0.701 0.828
B 0.081 0.669 0.412
B 0.201 0.535 0.667
B 0.222 0.500 0.399
B 0.222 0.822 0.721
B 0.234 0.870 0.364
B 0.243 0.331 0.912
B 0.368 0.535 0.833
B 0.373 0.205 0.672
B 0.373 0.701 0.168
B 0.399 0.178 0.899
B 0.399 0.500 0.221
B 0.601 0.500 0.779
B 0.601 0.822 0.101
B 0.627 0.299 0.832
B 0.627 0.795 0.328
B 0.632 0.465 0.167
B 0.757 0.669 0.088
B 0.766 0.130 0.636
B 0.778 0.178 0.279
B 0.778 0.500 0.601
B 0.799 0.465 0.333
B 0.919 0.331 0.588
B 0.967 0.299 0.172
B 0.967 0.795 0.668
B 0.995 0.130 0.864

***

[3]
The following is a calculated X-ray diffraction stick pattern of DyFe3B. It was derived from a PBE-relaxed structure, using Cu Kα (λ = 1.5418 Å).
Intensities are scaled so that the largest is 100.

Top 7 peaks for 2θ from 5° to 70°, in order of rising 2θ:
2θ (°)  d/Å  I/Imax
22.19  4.006  23.7
31.59  2.833  28.9
38.94  2.313  100.0
45.27  2.003  52.6
50.98  1.791  11.9
56.25  1.635  11.7
65.96  1.416  32.4

Crystal structure
Cell: 4.006 4.006 4.006 Å, 90.00 90.00 90.00°
Element x y z (fractional)
Dy 0.000 0.000 0.000
Fe 0.000 0.500 0.500
Fe 0.500 0.000 0.500
Fe 0.500 0.500 0.000
B 0.500 0.500 0.500


# Rb2URu3O12
Calculated powder diffractogram, λ = 1.5418 Å (Cu Kα). Input: the PBE geometry in Alexandria.
Lines closer than 0.1° are merged.

Top 12 peaks for 2θ from 10° to 90°, low angle first:
Position (°2θ)	intensity	index
14.91	62	1 0 1
24.63	19	1 1 0
27.67	47	0 1 5
28.50	100	0 0 6
30.09	51	2 0 2
45.28	17	1 2 5
45.82	25	3 0 3
48.43	26	2 0 8
50.49	30	2 2 0
58.55	13	3 1 5
58.99	15	2 2 6
70.55	12	1 4 3

Structural model:
```
data_Rb2URu3O12
_space_group_name_H-M_alt 'R -3 m'
_space_group_IT_number 166
_space_group_name_Hall '-R 3 2"'
_cell_length_a 7.2300
_cell_length_b 7.2300
_cell_length_c 18.7994
_cell_angle_alpha 90.00
_cell_angle_beta 90.00
_cell_angle_gamma 120.00
loop_
_atom_site_label
_atom_site_fract_x
**Outcome:**
30.09	51	2 0 2
45.28	17	1 2 5
45.82	25	3 0 3
48.43	26	2 0 8
50.49	30	2 2 0
58.55	13	3 1 5
58.99	15	2 2 6
70.55	12	1 4 3

Structural model:
```
data_Rb2URu3O12
_space_group_name_H-M_alt 'R -3 m'
_space_group_IT_number 166
_space_group_name_Hall '-R 3 2"'
_cell_length_a 7.2300
_cell_length_b 7.2300
_cell_length_c 18.7994
_cell_angle_alpha 90.00
_cell_angle_beta 90.00
_cell_angle_gamma 120.00
loop_
_atom_site_label
_atom_site_fract_x